-- Source --
+++
# 1
+++

-- Activity --
Next, quote all of the block above with every line break kept.

-- Worked solution --
# 1